• Work order:
Next, restate everything underneath exactly.

• Material:
┌──
Entry 1:
└──

• Reply:
Entry 1: